Non-agricultural land use tax has a low tax rate (the maximum rate is 0.2%). Tax exemption of non-agricultural land use tax is the thing that everybody wants although the tax rate is not high.
10 cases of tax exemption of Non-Agricultural Land Use Tax
Pursuant to Article 9, Law on Non-agricultural land use 2010 and Article 10, Circular No. 153/2011/TT-BTC, the cases of tax exemption are as follows:
(1) Land of investment projects in domains eligible for special investment promotion; investment projects in areas with extreme socio-economic difficulties; investment projects in domains eligible for investment promotion in areas with socio-economic difficulties; and the land of enterprises with over 50% of their employees being war invalids and diseased soldiers.
**Here the piece breaks off for materials data**
- - -
Record 1
Computed, not measured: an optimized crystal structure of BaZrMoN4 at the PBE level of DFT.

Geometry as CIF:
```
data_BaZrMoN4
_chemical_formula_sum 'Ba2 Zr2 Mo2 N8'
_cell_length_a 5.818
_cell_length_b 5.929
_cell_length_c 7.414
_cell_angle_alpha 90.00
_cell_angle_beta 108.00
_cell_angle_gamma 90.00
_symmetry_space_group_name_H-M 'P 1 21/m 1'
_symmetry_Int_Tables_number 11
loop_
_symmetry_equiv_pos_as_xyz
'x,y,z'
'-x,-y,-z'
'-x,y+1/2,-z'
'x,-y+1/2,z'
loop_
_atom_site_label
_atom_site_fract_x
_atom_site_fract_y
_atom_site_fract_z
Ba1 0.229 0.250 0.438
Zr1 0.322 0.250 0.963
Mo1 0.221 0.750 0.152
N1 0.000 0.250 0.077
N2 0.020 0.750 0.306
N3 0.453 0.512 0.177
```

## Properties
ρ = 5.19 g/cm³
Crystal system = monoclinic
Final energy = -8.653 eV per atom

Record 2
Computed, not measured: an optimized crystal structure of Ba3NaMo at the PBE level of DFT.

Geometry as CIF:
```
data_Ba3NaMo
_chemical_formula_sum 'Ba3 Na1 Mo1'
_cell_length_a 6.123
_cell_length_b 6.123
_cell_length_c 6.123
_cell_angle_alpha 90.00
_cell_angle_beta 90.00
_cell_angle_gamma 90.00
_symmetry_space_group_name_H-M 'P m -3 m'
_symmetry_Int_Tables_number 221
_symmetry_space_group_name_Hall '-P 4 2 3'
loop_
_atom_site_label
_atom_site_fract_x
_atom_site_fract_y
_atom_site_fract_z
Ba1 0.000 0.000 0.500
Na1 0.500 0.500 0.500
Mo1 0.000 0.000 0.000
```

## Properties
ρ = 3.84 g/cm³
Energy of formation from the pure elements = 0.62 eV per atom
Crystal system = cubic
Final energy = -2.968 eV per atom

Record 3
Computed, not measured: an optimized crystal structure of Ba2NaMo at the PBE level of DFT.

Geometry as CIF:
```
data_Ba2NaMo
_chemical_formula_sum 'Ba8 Na4 Mo4'
_cell_length_a 8.495
_cell_length_b 8.495
_cell_length_c 8.495
_cell_angle_alpha 90.00
_cell_angle_beta 90.00
_cell_angle_gamma 90.00
_symmetry_space_group_name_H-M 'F m -3 m'
_symmetry_Int_Tables_number 225
_symmetry_space_group_name_Hall '-F 4 2 3'
loop_
_atom_site_label
_atom_site_fract_x
_atom_site_fract_y
_atom_site_fract_z
Ba1 0.250 0.250 0.250
Na1 0.000 0.000 0.000
Mo1 0.000 0.000 0.500
```

## Properties
ρ = 4.26 g/cm³
Energy of formation from the pure elements = 0.82 eV per atom
Crystal system = cubic
Final energy = -3.182 eV per atom

Record 4
Computed, not measured: an optimized crystal structure of Ba2NaMo at the PBE level of DFT.

Geometry as CIF:
```
data_Ba2NaMo
_chemical_formula_sum 'Ba8 Na4 Mo4'
_cell_length_a 9.455
_cell_length_b 9.455
_cell_length_c 7.104
_cell_angle_alpha 90.00
_cell_angle_beta 90.00
_cell_angle_gamma 90.00
_symmetry_space_group_name_H-M 'I -4 2 d'
_symmetry_Int_Tables_number 122
_symmetry_space_group_name_Hall 'I -4 2bw'
loop_
_atom_site_label
_atom_site_fract_x
_atom_site_fract_y
_atom_site_fract_z
Ba1 0.134 0.250 0.125
Na1 0.000 0.000 0.500
Mo1 0.000 0.000 0.000
```

## Properties
ρ = 4.12 g/cm³
Energy of formation from the pure elements = 1.13 eV per atom
Crystal system = tetragonal
Final energy = -2.871 eV per atom
- - -
Lists of sectors eligible for investment promotion; sectors eligible for special investment promotion; areas with socioeconomic difficulties; and areas with extreme socio-economic difficulties comply with the investment law.
Employees being war invalids and diseased soldiers must be regularly employed in the year as specified by laws.
(2) Land of establishments carrying out socialized activities in education, vocational training, health, culture, sports, and environmental protection. These establishments include:
• Next to the entry, the page also holds crystal structures:
┌──
Entry from the Alexandria database: Tm5Bi2PC after structural relaxation (PBE-GGA).

Results
As for the spin magnetization: 0.0 Bohr magnetons per cell.

The structure in CIF format:
```
data_Tm5Bi2PC
_chemical_formula_sum 'Tm5 Bi2 P1 C1'
_cell_length_a 4.580
_cell_length_b 4.580
_cell_length_c 10.796
_cell_angle_alpha 90.00
_cell_angle_beta 90.00
_cell_angle_gamma 90.00
_symmetry_space_group_name_H-M 'P 1'
_symmetry_Int_Tables_number 1
loop_
_symmetry_equiv_pos_as_xyz
'x,y,z'
loop_
_atom_site_label
_atom_site_fract_x
_atom_site_fract_y
_atom_site_fract_z
_atom_site_occupancy
Tm1 0.000 0.000 0.000 1
Tm2 0.000 0.500 0.500 1
Tm3 0.500 0.000 0.500 1
Tm4 0.500 0.500 0.252 1
Tm5 0.500 0.500 0.748 1
Bi1 0.000 0.000 0.285 1
Bi2 0.000 0.000 0.715 1
P1 0.500 0.500 0.000 1
C1 0.500 0.500 0.500 1
```

Entry from the Alexandria database: Pa7Bi2C2 after structural relaxation (PBE-GGA).

Results
As for the spin magnetization: 0.0 Bohr magnetons per cell.

The structure in CIF format:
```
data_Pa7Bi2C2
_chemical_formula_sum 'Pa7 Bi2 C2'
_cell_length_a 9.643
_cell_length_b 9.643
_cell_length_c 9.643
_cell_angle_alpha 160.33
_cell_angle_beta 62.03
_cell_angle_gamma 121.83
_symmetry_space_group_name_H-M 'P 1'
_symmetry_Int_Tables_number 1
loop_
_symmetry_equiv_pos_as_xyz
'x,y,z'
loop_
_atom_site_label
_atom_site_fract_x
_atom_site_fract_y
_atom_site_fract_z
_atom_site_occupancy
Pa1 0.000 0.000 0.000 1
Pa2 0.299 0.451 0.847 1
Pa3 0.335 0.643 0.692 1
Pa4 0.604 0.451 0.153 1
Pa5 0.658 0.309 0.348 1
Pa6 0.951 0.643 0.308 1
Pa7 0.961 0.309 0.652 1
Bi1 0.297 0.797 0.500 1
Bi2 0.661 0.661 0.000 1
C1 0.148 0.902 0.246 1
C2 0.656 0.902 0.754 1
```

Calculated values (eV per atom) of formation energy for the records, taken in order: -0.695 -0.021.
Calculated values (Å³/atom) of V for the records, taken in order: 25.16 23.20.

* * * * *

SrSc2Mo PBE optimized geometry; energy relative to the elements = 0.641 eV per atom; total magnetic moment = 0.0 μB/f.u.; calculated density = 4.7 g cm⁻³; symmetry = I-4m2 (119)
1.0
4.581 0.000 0.000
0.000 4.581 0.000
0.000 0.000 9.148
Sr Sc Mo
2 4 2
Direct
0.000 0.000 0.000 Sr
0.500 0.500 0.500 Sr
0.000 0.000 0.500 Sc
0.000 0.500 0.250 Sc
0.500 0.000 0.750 Sc
0.500 0.500 0.000 Sc
0.000 0.500 0.750 Mo
0.500 0.000 0.250 Mo

***

SrScMo2 PBE optimized geometry; energy relative to the elements = 0.901 eV per atom; total magnetic moment = 0.0 μB/f.u.; calculated density = 6.6 g cm⁻³; symmetry = Immm (71)
1.0
3.538 0.000 0.000
0.000 4.584 0.000
0.000 0.000 10.109
Sr Sc Mo
2 2 4
Direct
0.000 0.000 0.000 Sr
0.500 0.500 0.500 Sr
0.000 0.000 0.500 Sc
0.500 0.500 0.000 Sc
0.000 0.500 0.242 Mo
0.000 0.500 0.758 Mo
0.500 0.000 0.258 Mo
0.500 0.000 0.742 Mo

***

SrSc2Mo PBE optimized geometry; energy relative to the elements = 0.555 eV per atom; total magnetic moment = 0.0 μB/f.u.; calculated density = 4.9 g cm⁻³; symmetry = Fm-3m (225)
1.0
7.196 0.000 0.000
0.000 7.196 0.000
0.000 0.000 7.196
Sr Sc Mo
4 8 4
Direct
0.000 0.000 0.000 Sr
└──
- Non-public establishments set up and qualified for carrying out socialized activities under regulations of competent state agencies;
- Organizations and individuals operating under the Enterprises Law that has investment projects, joint-venture or associated activities, or establish establishments qualified for carrying out socialized activities under regulations of competent state agencies;
Unrelated to this text: calculated crystals
┌──
(1)
Ca2UCu2S6 | PBE | relaxed

The space group is P-31m (No. 162) and the conventional cell measures 6.4293, 6.4293 and 6.5144 Å, with angles of 90.00, 90.00 and 120.00 degrees. The asymmetric unit holds Ca at (0.3333, 0.6667, 0.0000), U at (0.0000, 0.0000, 0.5000), Cu at (0.3333, 0.6667, 0.5000) and S at (0.0000, 0.3368, 0.2787).

The volume is 233.2 Å³/f.u. Its electronic total energy is -5.51 eV/atom. For the formation energy without anion corrections, the calculation gives -25.9 kcal/mol of atoms. As for the density of states at the Fermi level: 0.6516 states/eV per atom.


(2)
Ca2UCuS5 | PBE | relaxed

The space group is Cmc2_1 (No. 36) and the conventional cell measures 3.978, 16.055 and 13.539 Å, with angles of 90.00, 90.00 and 90.00 degrees. The asymmetric unit holds Ca at (0.000, 0.080, 0.000), Ca at (0.000, 0.081, 0.714), U at (0.000, 0.222, 0.364), Cu at (0.000, 0.410, 0.754), S at (0.000, 0.062, 0.347), S at (0.000, 0.266, 0.992), S at (0.000, 0.269, 0.733), S at (0.000, 0.384, 0.358) and S at (0.000, 0.494, 0.615).

The volume is 216.2 Å³/f.u. Its electronic total energy is -5.92 eV/atom. For the formation energy without anion corrections, the calculation gives -33.9 kcal/mol of atoms. As for the density of states at the Fermi level: 0.5167 states/eV per atom.

----------

A plane-wave DFT calculation with PBE was carried out for an optimized crystal structure of CaMoPt2. Values from VASP.

Structure (Quantum ESPRESSO input):
```
&SYSTEM
  ibrav = 0, nat = 4, ntyp = 3
/
ATOMIC_SPECIES
Ca 40.08 Ca.upf
Mo 95.94 Mo.upf
Pt 195.08 Pt.upf
ATOMIC_POSITIONS angstrom
Ca 0.000 0.000 0.000
Mo 0.000 0.000 4.139
Pt 1.454 1.454 2.289
Pt 1.454 1.454 5.989
CELL_PARAMETERS angstrom
2.909 0.000 0.000
0.000 2.909 0.000
0.000 0.000 8.278
```

A plane-wave DFT calculation with PBE was carried out for an optimized crystal structure of CaMoPt. Values from VASP.

Structure (Quantum ESPRESSO input):
```
&SYSTEM
  ibrav = 0, nat = 12, ntyp = 3
/
ATOMIC_SPECIES
Ca 40.08 Ca.upf
Mo 95.94 Mo.upf
Pt 195.08 Pt.upf
ATOMIC_POSITIONS angstrom
Ca -0.934 0.000 1.834
Ca 0.980 2.239 3.724
Ca 4.063 2.239 1.834
Ca 5.978 0.000 3.724
Mo 1.146 2.239 0.333
Mo -1.100 0.000 5.226
Mo 6.143 0.000 0.333
Mo 3.898 2.239 5.226
Pt -1.928 2.239 4.064
Pt 1.974 0.000 1.494
Pt 3.070 0.000 4.064
Pt 6.971 2.239 1.494
CELL_PARAMETERS angstrom
9.996 0.000 0.000
0.000 4.479 0.000
-4.952 0.000 5.558
```

A plane-wave DFT calculation with PBE was carried out for an optimized crystal structure of Ca4MoPt. Values from VASP.

Structure (Quantum ESPRESSO input):
```
&SYSTEM
  ibrav = 0, nat = 6, ntyp = 3
/
ATOMIC_SPECIES
Ca 40.08 Ca.upf
Mo 95.94 Mo.upf
Pt 195.08 Pt.upf
ATOMIC_POSITIONS angstrom
Ca 3.263 3.263 3.263
Ca 5.425 5.425 3.263
Ca 5.425 3.263 5.425
Ca 3.263 5.425 5.425
Mo 0.000 0.000 0.000
Pt 6.516 6.516 6.516
CELL_PARAMETERS angstrom
0.000 4.344 4.344
4.344 0.000 4.344
4.344 4.344 0.000
```
└──
- Public non-business establishments that contribute capital to, or raise capital for jointly setting up independent cost-accounting units or enterprises carrying out socialized activities under the decisions of competent state agencies;
- Tax exemption for foreign-investment projects carrying out socialized activities shall be decided by the Prime Minister at the proposal of the Ministry of Planning and Investment and relevant line ministries.
- Establishments carrying out socialized education, vocational training, healthcare, cultural, sports, and environmental activities must satisfy the requirements on operation scope and standards under the Prime Minister's decisions.
(3) Land for construction of gratitude houses, great-unity houses, nursing homes for lonely elderly people, people with disabilities or orphans, and social disease-treatment establishments.
(4) Within-quota residential land in geographical areas with extreme socioeconomic difficulties.
(5) Within quota residential land of persons engaged in revolutionary activities before August 19, 1945; war invalids of 1/4 or 2/4 grade; persons entitled to policies like war invalids of 1/4 or 2/4 grade; diseased soldiers of grade 1/3; heroes of people's armed forces; heroic Vietnamese mothers; natural parents and nurturing persons of martyrs during their childhood; spouses of martyrs; martyrs’ children eligible for monthly allowances; Agent Orange victims who are revolutionary activists; and disadvantaged Agent Orange victims.
(6) Within-quota residential land of poor households identified under the Prime Minister's decision on the poverty line. In case provincial-level People's Committees have specified a poverty line applicable in their localities according to law, poor households shall be identified under the poverty line promulgated by provincial-level People's Committees.
(7) Households and individuals whose residential land is recovered by the State in a year under approved master plans or plans will be exempt from tax on recovered land and the land in the new place of residence in that year.
(8) Land with garden houses certified by a competent state agency as historical-cultural relics.
(9) Taxpayers facing difficulties due to force majeure circumstances, if the value of damage related to land and houses on land accounts for over 50% of the taxable price.
In this case, certification of commune-level People's Committees of the localities where exists such land is required.
(10) Exemption from non-agricultural land use tax shall be granted to households and individuals that have an annual payable nonagricultural land use tax amount (after subtracting the exempted or reduced tax amount (if any) under the Law on Non-Agricultural Land Use Tax and guiding documents) of VND 50,000 or less. In case a household or an individual has various land parcels within a province or centrally run city, the non-agricultural land use tax amount to be exempted under this Article shall be calculated on the total payable tax amount for all of these parcels.
For households and individuals that are eligible for exemption from non-agricultural land use tax but have paid tax into the state budget, the tax office shall refund the paid tax amounts.

4 cases of tax reduction of Non-Agricultural Land Use Tax
Pursuant to Article 10, Law on Non-Agricultural Land Use Tax 2010 and Article 11 of the Circular No. 153/2011/TT-BTC, to reduce payable tax amounts by 50% in the following cases:
(1) Land of investment projects in the sectors eligible for investment promotion; investment projects in geographical areas with socio-economic difficulties; land of enterprises with between 20% and 50% of their employees being war invalids or diseased soldiers.
Lists of sectors eligible for investment promotion; sectors eligible for special investment promotion; areas with socioeconomic difficulties; and areas with extreme socio-economic difficulties comply with the investment law.
(2) Employees being war invalids and diseased soldiers must be regularly employed in the year as specified by laws.
(3) Within-quota residential land in geographical areas with socio-economic difficulties. Within-quota residential land of war invalids of 3/4 or 4/4 grade; persons enjoying policies like war invalids of 3/4 or 4/4 grade; martyrs' children enjoying monthly allowances.
(4) Taxpayers facing difficulties due to force majeure circumstances, provided the value of damage related to their land and houses on land accounts for between 20% and 50% of the taxable price
In this case, certification of commune-level People's Committees of the localities where exists such land is required.
- A taxpayer that is eligible for both tax exemption and reduction for a single land plot may enjoy tax exemption. A taxpayer eligible for a tax reduction under two or more conditions specified above may enjoy tax exemption.
- Residential land taxpayers will be eligible for tax exemption or reduction only in one place chosen by them, except in the cases specified in section (9) of tax exemption and section (4) of tax reduction.
- A taxpayer that has many investment projects eligible for tax exemption or tax exemption and a reduction will only apply directly to taxpayers and be calculated based on the lax amounts payable under the Law on Non-Agricultural Land Use Tax and this Circular.
Here are the cases of tax exemption and reduction of non-agricultural land use tax.